




I identified significant different regions among three groups (for example,saying three groups as  'A', 'B', and 'C') performing voxel-wise one-way ANOVA with using SPM8 software. So I want to do post-hoc pair-wise t-test between 'A' and 'B', between 'B'
and 'C', and between 'C' and 'A'.So I have some questions.
1) Should I perform these post-hoc t-test to whole brain? Or should I perform them to the only region which is identified as significantly different by the ANOVA analysis?关于这些两两之间的事后t检验,我应该做全脑范围的t检验吗?或者说分析仅局限在单因素方差分析出现显著差异的脑区?
If it is a true post hoc test it must be done using the regions identified as significant in the ANOVA. If you re-run the whole brain analysis it has no relationship to the ANOVA and thus is not a post-hoc test, but a new series of tests.
There are a few possible approaches. Run the t-tests and mask with the significant ANOVA findings, or extract beta values for each person from the significant clusters from the F-test, and do group comparisons on those. The second option may be best, as you are now running 1 simple t-test for each comparison for each cluster. However, be aware of the difference, as this approach tests "overall in this cluster does group A differ from B". And this may have issues. For example in a large cluster if group A > B in some parts but B > A in others. It is not always fair to assume that all voxels in  a large cluster will show the same effect. So if you have large clusters, whole brain t-test masked with the F-stat may be best.
可以考虑的办法:在ANOVA显著团块的mask范围内进行t检验,或者从ANOVA分析的显著团块中提取每一个人的beta(平均)值(当然这里可以是任意进行统计分析的指标),然后直接进行组间简单的t检验。第二种选择可能更好(?),因为这时只需要进行逐团块的简单t检验。但是要非常清楚的是,第二种方式检验的是“这个团块指标总体(平均值?)是否存在,比如AB两组之间的差异?”。不过有时这可能也有问题,例如在一个很大的显著性团块中,团块中一部分参数存在A >B、但是另一部分存在B > A,这时直接简单的提取团块均值可能就有问题。这种情况下,可能进行团块mask内逐体素t检验更好一些。
Likewise I think you should avoid choosing a small ROI around the 'peak' of each cluster, as that is a somewhat biased result (running post-hoc tests only on regions showing the greatest effect, you have a circularity problem).
2) When I perform these post-hoc t-test, should I adopt bonferroni corrected p-value? (say, 0.05/3 in this case).
Yes, absolutely. Some form of correction (bonferroni or otherwise) is necessary. But keep in mind that bonferroni may be overly stringent. If, for example, your F-test gives 4 significant clusters, you are now running at least 12 post hoc comparisons (3 t-tests in each of the 4 clusters), and need a large correction. Consider FDR correction instead.是这样。校正是必要的(bonferroni校正或者其它)。但是要清楚的是,bonferroni校正过于严格。例如,您的F-检验得到4个显著团块,您可能需要运行12次事后检验,因此需要较多的校正。不过可以考虑FDR等校正。
3) If areas of the significant region with the post-hoc t-test is larger than those of the significant region with the ANOVA,
    how should I interpret those regions outside of the region identified by the ANOVA?如果事后检验得到的显著脑区大于方差分析的显著区域,我如何解释这些位于F检验显著区域之外的结果呢?
Shouldn't be an issue as you should not run whole brain t-tests here, see above. But, if you did it, it's easy to interpret: The ANOVA is one statistic, a whole brain t-test is a different statistic, and they will never perfectly overlap. They may be sensitive to different things. Which you prefer depends on how you want to answer your question, but if you are looking for 'overall differences between groups', then the ANOVA is a likely the more correct approach.只要不进行全脑水平的t检验,这种情况不应该出现,理由如上,见第一条。但是,如果您做了全脑的t检验,也好解释:t检验和方差分析是两种不同的参数检验方法,它们不可能完全重叠。它们可能对不同的情况敏感(注:如自由度、资料利用率、对实验设计的影响及犯假阳性的概率等)。就看您更想用什么方式来回答问题,但是如果您在探寻“组间总的差异“,那么方差分析应该是更正确的选择(理由如上)。



# Between two parts of the article: data records
For Na2Mo2O7, DFT lattice parameters and positions (GGA+U) gives the simulated powder diffraction line list in this record (Cu Kα (λ = 1.5418 Å)).
No peak broadening, texture or thermal motion is included.

Largest 6 diffraction maxima, by intensity, 2θ from 10° to 90°:
2θ/deg  d_spacing  I/Imax
28.56  3.126  100
18.41  4.819  90
15.85  5.592  88
27.08  3.293  71
27.56  3.236  66
27.86  3.202  62

Cell and atoms:
Cell lengths 7.316, 12.036, 15.129 Å; angles 90.00, 90.00, 90.00 degrees
Space group Cmce (No. 64)
Unique sites:
Na  0.000  0.183  0.151 (multiplicity 8)
Na  0.250  0.000  0.000 (multiplicity 8)
Mo  0.000  0.244  0.914 (multiplicity 8)
Mo  0.250  0.079  0.750 (multiplicity 8)
O  0.000  0.118  0.718 (multiplicity 8)
O  0.000  0.125  0.467 (multiplicity 8)
O  0.000  0.139  0.997 (multiplicity 8)
O  0.200  0.012  0.163 (multiplicity 16)
O  0.202  0.227  0.844 (multiplicity 16)

***

For PrMn2O6, DFT lattice parameters and positions (GGA+U) gives the simulated powder diffraction line list in this record (Cu Kα (λ = 1.5418 Å)).
No peak broadening, texture or thermal motion is included.

Largest 6 diffraction maxima, by intensity, 2θ from 10° to 90°:
2θ/deg  d_spacing  I/Imax
33.27  2.693  100
20.27  4.382  78
20.12  4.414  69
47.76  1.904  56
39.32  2.291  40
39.13  2.302  36

Cell and atoms:
Cell lengths 7.617, 5.417, 5.357 Å; angles 90.00, 90.00, 90.00 degrees
Space group Pmn2_1 (No. 31)
Unique sites:
Pr  0.000  0.211  0.000 (multiplicity 2)
Mn  0.247  0.738  0.997 (multiplicity 4)
O  0.000  0.248  0.545 (multiplicity 2)
O  0.000  0.754  0.922 (multiplicity 2)
O  0.219  0.463  0.203 (multiplicity 4)
O  0.219  0.972  0.263 (multiplicity 4)

***

For Li4Mn3Co2Sn3O16, DFT lattice parameters and positions (GGA+U) gives the simulated powder diffraction line list in this record (Cu Kα (λ = 1.5418 Å)).
No peak broadening, texture or thermal motion is included.

Largest 6 diffraction maxima, by intensity, 2θ from 10° to 90°:
2θ/deg  d_spacing  I/Imax
18.17  4.882  100
35.26  2.546  78
19.13  4.640  74
60.88  1.522  43
44.10  2.054  36
34.68  2.587  36

Cell and atoms:
Cell lengths 10.538, 6.089, 9.765 Å; angles 90.00, 90.44, 90.00 degrees
Space group Cm (No. 8)
Unique sites:
Li  0.000  0.000  0.000 (multiplicity 2)
Li  0.003  0.000  0.493 (multiplicity 2)
Li  0.186  0.500  0.112 (multiplicity 2)
Li  0.351  0.000  0.604 (multiplicity 2)
Mn  0.345  0.500  0.779 (multiplicity 2)
Mn  0.430  0.246  0.280 (multiplicity 4)
Co  0.182  0.500  0.498 (multiplicity 2)
Co  0.350  0.000  0.005 (multiplicity 2)
Sn  0.099  0.254  0.780 (multiplicity 4)
Sn  0.183  0.000  0.280 (multiplicity 2)
O  0.003  0.000  0.184 (multiplicity 2)
O  0.003  0.000  0.677 (multiplicity 2)
O  0.031  0.500  0.654 (multiplicity 2)
O  0.087  0.240  0.393 (multiplicity 4)
O  0.170  0.000  0.902 (multiplicity 2)
O  0.192  0.500  0.895 (multiplicity 2)
O  0.262  0.281  0.660 (multiplicity 4)
O  0.280  0.228  0.162 (multiplicity 4)
O  0.353  0.500  0.383 (multiplicity 2)
# Back to the article




4.在方差分析时,我想采用的alphasim 矫正,但在rest提供的那个表也适用于方差分析吗?同样,我在事后检验时,那个rest里的表也适合这种加了mask的情况吗?
